== Input ==
{"formula": "C39H33Cl2CsN3O3P2", "method": "wB97M-V/def2-TZVPD", "symbols": ["Cs", "N", "C", "C", "C", "C", "C", "C", "P", "C", "C", "C", "C", "C", "C", "C", "C", "C", "C", "C", "C", "H", "H", "H", "H", "H", "H", "H", "H", "H", "H", "H", "H", "H", "H", "H", "H", "N", "C", "C", "C", "C", "C", "C", "P", "C", "C", "C", "C", "C", "C", "C", "C", "C", "C", "C", "C", "H", "H", "H", "H", "H", "H", "H", "H", "H", "H", "H", "H", "H", "H", "H", "H", "Cl", "C", "Cl", "C", "O", "O", "H", "O", "C", "N"], "xyz": [[-1.8107, 0.7050, -2.3686], [-0.5377, -0.5638, 0.9944], [-0.2108, -1.5930, 1.8552], [-0.3031, -1.3830, 3.2385], [0.0440, -2.3739, 4.1349], [0.4918, -3.6082, 3.6784], [0.5793, -3.8314, 2.3141], [0.2341, -2.8495, 1.3825], [0.4695, -3.0758, -0.4249], [-1.2581, -2.9685, -1.0507], [-1.4236, -2.9043, -2.4351], [-2.6869, -2.7562, -2.9937], [-3.8000, -2.6487, -2.1677], [-3.6469, -2.7040, -0.7871], [-2.3840, -2.8738, -0.2329], [0.7455, -4.8941, -0.5132], [2.0637, -5.3412, -0.5950], [2.3556, -6.6988, -0.6332], [1.3263, -7.6292, -0.6086], [0.0084, -7.1949, -0.5434], [-0.2799, -5.8377, -0.4931], [-1.2118, 0.1122, 1.3233], [-0.7213, -0.8187, 0.0398], [-0.6443, -0.4160, 3.5889], [-0.0365, -2.1807, 5.1984], [0.7655, -4.3911, 4.3750], [0.9205, -4.7969, 1.9629], [-0.5544, -2.9367, -3.0831], [-2.7802, -2.6824, -4.0700], [-4.7835, -2.4954, -2.5945], [-4.5045, -2.5814, -0.1383], [-2.2743, -2.9072, 0.8441], [2.8667, -4.6130, -0.6285], [3.3861, -7.0286, -0.6916], [1.5490, -8.6886, -0.6470], [-0.7995, -7.9168, -0.5302], [-1.3102, -5.5060, -0.4376], [2.3025, 0.3395, -0.9283], [3.1345, 1.4126, -0.7387], [4.5196, 1.2301, -0.5915], [5.3616, 2.2932, -0.3399], [4.8542, 3.5832, -0.2278], [3.4878, 3.7767, -0.3524], [2.6140, 2.7185, -0.6003], [0.7908, 2.9113, -0.6167], [0.6119, 4.7263, -0.8023], [0.5265, 5.6194, 0.2642], [0.4077, 6.9844, 0.0334], [0.3807, 7.4747, -1.2650], [0.4641, 6.5936, -2.3342], [0.5699, 5.2298, -2.1025], [0.3408, 2.6856, 1.1386], [1.2469, 2.3884, 2.1527], [0.7973, 2.1827, 3.4514], [-0.5560, 2.2709, 3.7468], [-1.4690, 2.5477, 2.7361], [-1.0246, 2.7444, 1.4362], [2.7587, -0.5396, -1.1186], [1.5264, 0.4524, -1.5712], [4.9220, 0.2269, -0.6888], [6.4258, 2.1157, -0.2382], [5.5105, 4.4230, -0.0389], [3.0848, 4.7770, -0.2466], [0.5494, 5.2446, 1.2797], [0.3380, 7.6668, 0.8720], [0.2884, 8.5392, -1.4428], [0.4359, 6.9669, -3.3509], [0.6224, 4.5424, -2.9396], [2.3023, 2.3106, 1.9296], [1.5091, 1.9421, 4.2318], [-0.9032, 2.1064, 4.7603], [-2.5295, 2.5889, 2.9530], [-1.7460, 2.9180, 0.6382], [-6.0109, 0.6340, -1.8199], [-5.4985, 1.3702, -0.2699], [-6.0915, 0.3972, 1.0865], [-3.9454, 1.5157, -0.3154], [-3.5678, 2.5369, -0.9306], [-3.2611, 0.5975, 0.1726], [-5.9769, 2.3396, -0.2215], [-0.6820, -1.2333, -5.2516], [0.0454, -0.8392, -4.3584], [0.6882, -0.4407, -3.4423]], "lowdin_charge": [1.11, 0.15, -0.32, -0.03, -0.10, -0.12, -0.10, -0.32, 1.12, -0.41, -0.14, -0.11, -0.10, -0.07, -0.09, -0.39, -0.11, -0.10, -0.10, -0.09, -0.08, 0.07, 0.01, 0.09, 0.10, 0.09, 0.09, 0.09, 0.10, 0.10, 0.10, 0.11, 0.10, 0.10, 0.10, 0.10, 0.10, 0.11, -0.34, -0.04, -0.11, -0.11, -0.10, -0.32, 1.09, -0.38, -0.09, -0.09, -0.10, -0.09, -0.10, -0.38, -0.07, -0.09, -0.11, -0.08, -0.12, 0.08, 0.00, 0.11, 0.10, 0.09, 0.10, 0.10, 0.10, 0.10, 0.10, 0.10, 0.10, 0.10, 0.10, 0.11, 0.09, 0.57, -0.99, 0.57, -0.94, -0.18, -0.18, 0.05, -0.07, -0.77, -0.06], "e_lumo_ev": 2.141, "relative_energy_ev": 0.000, "total_charge": -1, "gap_ev": 7.489}

=====

{"formula": "C2Br4S2", "method": "wB97M-V/def2-TZVPD", "symbols": ["C", "C", "S", "S", "Br", "Br", "Br", "Br"], "xyz": [[2.1064, 0.2232, -0.2852], [-2.1202, -0.3019, 0.3425], [0.8422, -0.5585, -0.9541], [-0.9444, -1.3190, 0.8492], [2.2553, 2.1372, -0.0789], [3.6662, -0.7241, 0.3771], [-1.8029, 1.3878, -0.2469], [-4.0027, -0.8448, -0.0037]], "lowdin_charge": [-1.68, -1.72, 0.49, 0.55, 0.57, 0.56, 0.69, 0.55], "e_lumo_ev": [-1.679, -1.678], "relative_energy_ev": 1.083, "gap_ev": [7.246, 7.247]}

=====
== To do ==
Work out how many lines further above have the word "e_lumo_ev" in them; a number is enough, please.
== Written answer ==
2